Author's Note: Two important things to be noticed; 1- this story contains loads of Slash. If you don't like it, don't read it. 2 - it is shameless PWP, or close to it. This was written for a prompt posted on the Hearts of Camelot forum; and it is all Manana's fault.

The Naked Knight Rides Again

The thing about Gwaine was that he was very... comfortable with his body. He was the kind of guy that didn't mind walking around naked as in the day he was born. He cared little if the others could see him as he decided to bath in the river during a hunting trip or a patrol. It drove Leon insane.

He had always managed to keep himself controlled when it came to the men that were his mates. It would have been terrible to act inappropriately around them. They were all equal, and all men, and it just wouldn't have been right to imagine them as possible… It just wouldn't be right.

Now, Gwaine made it hard for him. He wouldn't do it when Arthur was with them, but if the King wasn't around, he had no trouble with sleeping naked. The others would tease him, and he would say it got too hot in the night, and he rather feel comfortably fresh. Then, when he woke up, he would immediately go to the nearest river in all his morning glory to clean himself.

It also didn't help that generally, when he'd wake, his… parts would also be very much awake. Leon avoided looking as much as he could, but he had eventually seen it and it had done little to calm his own body after a night's sleep.

So he was reduced to hiding from others early in the morning to grope himself desperately whenever they were away from Camelot. It made him feel guilty in the end, for it wasn't the kind of thing most men would find acceptable.

It pained him, it really did, because after a few months, Gwaine became the main source of his fantasies, and those were clearly doomed to remain in the realm of impossibility forever. He tried, as much as he could, to avoid patrolling with the other knight, but it wasn't something he could always avoid.

This was how he found himself hiding behind a few bushes and biting his own hand as he watched Gwaine pleasuring himself during his morning bath after a three day ride from Camelot. He had never before actually observed as the man cleansed himself, but this morning he had stumbled into it as he went to get some water. Leon had thought Gwaine was still asleep – certainly something was still under the blanket that he had used the previous night. He was only human, and the sight of the object of his dreams with a hand fully wrapped around his body and moving up and down – slowly at first, and then faster – was too much for him to handle.

He hadn't even meant to stop until he felt the jolt through his body and a soft moan escaped his lips. Leon didn't even notice until later that he was mimicking the knight's movements, and bit his own hand to stop himself from making any noise as he felt the pleasure controlling his body.

Unfortunately, as he finished, trembling with the release, he also stepped in a twig that made a rather large noise as it broke. He hid himself as Gwaine looked around, and prayed to whatever gods that he wouldn't be caught in such a ridiculous situation.

The whole day was a nightmare after this. He couldn't look at Gwaine without blushing or stuttering. He tried in vain not to stare as Gwaine did simple things as pulling the reigns of his horse or as how he moved his blessedly covered hips as he forced a faster rhythm to their riding. It was – literally – hard to concentrate, and he was thankful for the fact that they weren't actually looking for anything, or it would have been a completely wasted trip. That made him feel even worse, as he felt he was failing his duty.

This was part of the reason he excused himself for a bath as soon as they made camp. He just needed to be alone to release all the tension from the day. Leon stopped by the riverside and took out his chainmail and his undergarments quickly, hiding himself in the waters before he begun to touch himself. He had barely managed three strokes as he heard someone approaching and froze.

Of course, it had to be Gwaine.

The other knight had a smile upon his face, and his customary laid back attitude. He had left most of his clothes in the camp, and came around wearing only his trousers.

"Is there a problem?" asked Leon, trying to keep his voice even and thankful that Gwaine couldn't see his face at this distance.

"Hard day, mate. You're not the only one needing to relax."

Gwaine stripped his pants, and Leon cursed him inside his head. It was clear that he would find nothing but more frustration that night. He would have left, except it would have been odd as he had just arrived, so, he chose to get deeper into the water and dive to calm himself. He spent as much time as he could underwater, hoping that Gwaine would be already inside the river by the time he surfaced at a respectful distance from where he was before.

The reality was much more cruel as he rose to find the other knight somewhat close, and clearly in the process of pleasuring himself once more.

"What are you doing?" Leon spluttered, shocked.

Gwaine gave him an enormous smile.

"What does it look like?" he asked.

"But…" Leon looked at Gwaine's hand for a full second before shaking his head. "Just… stop."

"Why?" asked the man, still smiling. "It is a natural thing. We all have needs, even you, Leon."

The older knight could only close his eyes and lick his dried lips before speaking.

"It is not appropriate."

"Always the prude" teased the man, and Leon felt the indignation rise within himself.

"I am not" he complained, and then, seeing how little that helped his case, he continued. "Do you have to show yourself like that?"

"I could show you a lot of things" was the answer, in a husky voice that made Leon shiver against his best efforts, and Gwaine was walking towards him "It might help you relax."

"This is not funny" said Leon, eyeing him nervously.

"But it might be fun" said Gwaine, and now he was barely a step away from Leon, who was all too conscious that they were both naked and hard. Gwaine's hand kept on moving up and down the entire time, even if Leon was looking straight to his face, he still saw the movement.

**Misplaced calculated crystals**
********
No. 1
VASP calculation (SCAN) on a crystal of Rb4WS3O14 relaxed with PBEsol.

abc: 9.688 14.051 14.469
angles: 90.00 131.65 90.00
Sites, in units of the cell vectors:
Rb (0.025, 0.226, 0.254)
Rb (0.025, 0.274, 0.754)
Rb (0.291, 0.512, 0.297)
Rb (0.291, 0.988, 0.797)
Rb (0.323, 0.514, 0.013)
Rb (0.323, 0.986, 0.513)
Rb (0.346, 0.689, 0.659)
Rb (0.346, 0.811, 0.159)
Rb (0.654, 0.189, 0.841)
Rb (0.654, 0.311, 0.341)
Rb (0.677, 0.014, 0.487)
Rb (0.677, 0.486, 0.987)
Rb (0.709, 0.012, 0.203)
Rb (0.709, 0.488, 0.703)
Rb (0.975, 0.726, 0.246)
Rb (0.975, 0.774, 0.746)
W (0.252, 0.117, 0.083)
W (0.252, 0.383, 0.583)
W (0.748, 0.617, 0.417)
W (0.748, 0.883, 0.917)
S (0.089, 0.159, 0.553)
S (0.089, 0.341, 0.053)
S (0.118, 0.520, 0.696)
S (0.118, 0.980, 0.196)
S (0.479, 0.230, 0.018)
S (0.479, 0.270, 0.518)
S (0.521, 0.730, 0.482)
S (0.521, 0.770, 0.982)
S (0.882, 0.020, 0.804)
S (0.882, 0.480, 0.304)
S (0.911, 0.659, 0.947)
S (0.911, 0.841, 0.447)
O (0.006, 0.633, 0.076)
O (0.006, 0.867, 0.576)
O (0.015, 0.628, 0.910)
O (0.015, 0.872, 0.410)
O (0.019, 0.605, 0.614)
O (0.019, 0.895, 0.114)
O (0.031, 0.016, 0.242)
O (0.031, 0.484, 0.742)
O (0.095, 0.232, 0.062)
O (0.095, 0.268, 0.562)
O (0.096, 0.060, 0.114)
O (0.096, 0.440, 0.614)
O (0.280, 0.122, 0.640)
O (0.280, 0.378, 0.140)
O (0.308, 0.204, 0.007)
O (0.308, 0.296, 0.507)
O (0.310, 0.010, 0.054)
O (0.310, 0.490, 0.554)
O (0.313, 0.543, 0.794)
O (0.313, 0.957, 0.294)
O (0.355, 0.725, 0.351)
O (0.355, 0.775, 0.851)
O (0.434, 0.175, 0.464)
O (0.434, 0.325, 0.964)
O (0.451, 0.137, 0.236)
O (0.451, 0.363, 0.736)
O (0.477, 0.158, 0.944)
O (0.477, 0.342, 0.444)
O (0.523, 0.658, 0.556)
O (0.523, 0.842, 0.056)
O (0.549, 0.637, 0.264)
O (0.549, 0.863, 0.764)
O (0.566, 0.675, 0.036)
O (0.566, 0.825, 0.536)
O (0.645, 0.225, 0.149)
O (0.645, 0.275, 0.649)
O (0.687, 0.043, 0.706)
O (0.687, 0.457, 0.206)
O (0.690, 0.510, 0.446)
O (0.690, 0.990, 0.946)
O (0.692, 0.704, 0.493)
O (0.692, 0.796, 0.993)
O (0.720, 0.622, 0.860)
O (0.720, 0.878, 0.360)
O (0.904, 0.560, 0.386)
O (0.904, 0.940, 0.886)
O (0.905, 0.732, 0.438)
O (0.905, 0.768, 0.938)
O (0.969, 0.516, 0.258)
O (0.969, 0.984, 0.758)
O (0.981, 0.105, 0.886)
O (0.981, 0.395, 0.386)
O (0.985, 0.128, 0.590)
O (0.985, 0.372, 0.090)
O (0.994, 0.133, 0.424)
O (0.994, 0.367, 0.924)

Its space group is P2_1/c, No. 14. Its uncorrected energy is -14.249 eV/atom. The value obtained for the uncorrected formation energy is -2.033 eV per atom. The density of states at the Fermi level comes out at 0.00 states/eV per atom.

No. 2
VASP calculation (SCAN) on a crystal of Rb3SbO3 relaxed with PBEsol.

abc: 9.638 6.648 10.623
angles: 90.00 98.49 90.00
Sites, in units of the cell vectors:
Rb (0.039, 0.170, 0.189)
Rb (0.039, 0.330, 0.689)
Rb (0.324, 0.137, 0.946)
Rb (0.324, 0.363, 0.446)
Rb (0.432, 0.578, 0.813)
Rb (0.432, 0.922, 0.313)
Rb (0.568, 0.078, 0.687)
Rb (0.568, 0.422, 0.187)
Rb (0.676, 0.637, 0.554)
Rb (0.676, 0.863, 0.054)
Rb (0.961, 0.670, 0.311)
Rb (0.961, 0.830, 0.811)
********

"Stop it" he said, trying not to sound as shaken as he felt.

"I saw you this morning" Gwaine said, barely above a whisper. "You were watching me"

It was as much of an accusation as it was a statement, and Leon fought to find his voice.

"I walked in on you and left" he corrected.

Gwaine gave a little laugh at that, getting even closer. Now as the knight moved his hand, the water moved straight into Leon's body, and he could feel the rhythm of the strokes.

"So I guess it was somebody's else spunk that I found in those bushes" he said, still smiling.

Leon knew he couldn't lie anymore, he couldn't hide, and he felt his face go on fire as he tried to give any sort of answer to the man and failed. Gwaine didn't wait for him to say anything else, though; he just gripped Leon's hips and brought their bodies together before he kissed him ferociously.

Leon had never dared to hope for such thing, and had no idea how to react as Gwaine's tongue invaded his mouth, demanding his attention. His beard brushed against Leon's face, and his teeth claimed his lower lip as he didn't kiss back.

Gwaine's hand moved to wrap both of their cocks, and Leon couldn't hold out a moan at the touch. He couldn't stop himself from holding the other man back and kissing him fiercely, putting all the months of suppressed desire into it. As soon as he responded to the man's advances, Gwaine felt bold enough to let go of his cock, using his hands to explore the whole of Leon's body – his legs and his balls, his belly and his chest, his back and his ass all while he humped himself against him and Leon humped back, still holding Gwaine's neck.

He knew the water was slowing their bodies down, and was thankful for it, for he couldn't possibly last long after so much teasing. Leon allowed himself to touch as well, gripping Gwaine's butt with one of his hands and pulling him even closer for a moment, before moving to get hold of his cock.

It felt amazing, to be able to finally feel what he had watched for so long, and the other man's moan made him move his hand up and down, twisting his wrist just a bit as he did so. Gwaine broke the kiss only to bite and nuzzle against Leon's neck. He moved Leon's hand away after a few moments, once again getting hold of them both as he went back to kissing his mouth with the same desperation he usually reserved for apples.

Leon was already on the verge of an orgasm, and could do little except grabbing Gwaine to keep him close. It was too much, and he couldn't think straight – he didn't even want to, or he would end up regretting this moment. He started to move his hips in desperation, fucking Gwaine's hand. The other man had one hand around their cocks and the other was keeping a rather strong hold of Leon's right cheek. Slowly, without Leon being able to tell how it happened, Gwaine had a finger entering Leon's backside, in an agonizing pain.

He had never done anything like it before, and he wasn't at all prepared to what he was going to feel as the other knight kept on moving both his hands around him. Leon just froze, lost between pleasure and pain, but he didn't move to stop Gwaine, that was once again attacking his neck. Leon fought kept his voice low and he moaned, not wanting them to be caught doing something he clearly couldn't explain how had happened.

Gwaine, on the other hand, was clearly unconcerned with the possibility of the other three knights in their party coming around to find them in such a close embrace. He moved his finger out of Leon, only to add one more, feeling around inside Leon's body, and the older knight couldn't hold a gasp as Gwaine found what he was looking for. This immediately lead to Gwaine pulling his hand back again and adding a third finger, and it was more than Leon could handle, as his whole body trembled and he spilled himself inside Gwaine's hand, letting out a loud moan that the other man kissed into silence.

Leon could feel his legs a bit wobbly, and his whole body seemed to slow down a bit. Soon enough – too soon – guilt started to take hold of him, but Gwaine didn't seem to notice it as he licked Leon's neck.

"I'm sorry" whispered Leon, and Gwaine actually stopped and stared at him.

"Don't be" said the other knight. "I'll make this good for you"

Leon thought about asking what he meant, but Gwaine turned him around and begun rub his chin against Leon's nape and all conscious thought left him. His whole body shivered as the other man kept using his face to touch Leon's body, his hands firmly on his hips and his erection rubbing against Leon's backside.

It didn't take Gwaine long to move even closer, bending Leon a bit before putting his cock in the middle of Leon's cheeks. He gasped, surprised, but Gwaine was still holding him and shushing him with a string of words Leon couldn't quite understand before Gwaine was pushing inside him.

It hurt, and one of Gwaine's hand came Leon's mouth, and he bit it. That made Gwaine moan against Leon's ear, and suddenly, his body was once again reacting to what was happening, as if he were back to his early years as a knight, when it seemed that anything was enough to set it off. Gwaine kept on moving slowly inside Leon, while he gasped.

"Just relax" came the advice, and Leon tried to act on it while considering it wasn't a possibility. On the few times he had allowed himself to act on his desires, he had been the one entering the other man, now he found out just what it had meant to them. It was humiliating, and painful, and yet, it felt as if he was being filled with something that he had missed for his whole life.

Gwaine also noticed Leon's body reaction, and gave a soft laugh on his ear.


He moved once again to touch Leon, and it was as it all was pain and pleasure mixed, his cock still too sensitive to be able to handle much. Every touch seemed to be much more powerful than usual, and Gwaine must have felt it too, for he picked up the pace of his thrusts, letting go to Leon's cock and holding his hips instead.

Soon he begun to get used to the feeling of having someone inside him, and relaxing became easier. After some more movements, he begun to feel the pleasure irradiating from inside, and it clearly more powerful than what Leon had felt alone. He wanted it, and he wanted more, and without noticing, he begun to move his own body against Gwaine's, that gave a strangled cry and stopped moving. Leon could actually feel his release, the throbbing of Gwaine's body inside him and the liquid coming back when he finally pulled away, after some moments.

As the high of the sex passed, Leon wondered what the hell they had just done. It was a stupid idea, and not something a couple of knights should be doing while on patrol…

But Gwaine had seen him earlier, he remembered. Gwaine had come this night knowing how he felt. Surely it meant he had wanted this?

"Don't look so shattered, I know you liked it" said Gwaine, smiling tiredly.

"Why did you…?" Leon didn't know where to begin.

"Why do you think? That I was mad at you?" Gwaine asked, and then, shook his head. "You know… I don't actually sleep naked on patrols when you are not around" he said.


"It seemed like a good way to catch your attention" said Gwaine, shrugging.

"So, what? When you decide you want to sleep with someone you just decide to walk around them naked until they crack?"

"It has been known to work" said the other knight with a roguish smile.

"You… idiot" Leon said, angry. "Do you always do this?"

Gwaine smiled, and gave Leon a light punch.

"No. Just when I really want to get into someone's pants and the person is too noble to answer to my normal methods."

Leon thought about actually punching him, but then, he registered what Gwaine had just said.

"So you tried other methods before?"

"Yes, but I might stick with the Naked Knight from now on" said Gwaine, grinning. "I wouldn't want to spoil all the fun we can have with this one."

Leon laughed, amazed.

"Does that mean you still want to do this?"

"Are you kidding?" asked Gwaine, a suggestive smile now in his face. "This was just the beginning. Now, I think you should go back to the camp. I still want to have a bath."

Leon shook his head and started to walk out of the river – now there was nothing Gwaine could do to surprise him anymore. Nothing would shock him as much as what had just happened.

As he finished putting his clothes back on, he heard Gwaine's voice.

"Oh, and Leon – the next time around, you get the ride the naked knight."

Or, maybe he was wrong. Clearly Gwaine loved shocking him and was eager to keep doing it for a while.

Well, Leon certainly wouldn't complain about that anymore.

He would enjoy it.